At recent referrer and intermediary management training sessions the topic of information systems to was discussed. Whilst there is a host of excellent technology solutions available to larger firms, some within integrated accounts systems and others in standalone CRM systems, many professionals prefer to get the relevant behaviours established and the required information assembled before looking at technology systems.
(1)
Here is 3 unconnected molecules or ions with the total composition C4H11NO2 from OMol25. Energies are from the ωB97M-V functional and the def2-TZVPD basis.

Last column: natural (NBO) charge in e.
Geometry (Å):
C (-0.787099, -4.091646, -1.348798)  -0.395
C (-0.474808, -3.089495, -2.149478)  -0.192
C (0.884310, -2.432106, -2.232848)  -0.336
C (1.284659, -1.504410, -1.372959)  0.016
N (2.562921, -0.926016, -1.351636)  -0.819
H (-1.736265, -4.594723, -1.369694)  0.200
H (-0.030678, -4.434224, -0.648310)  0.196
H (-1.131813, -2.548952, -2.831406)  0.198
H (1.540575, -3.023602, -2.869555)  0.205
H (0.625662, -1.037514, -0.652312)  0.194
H (2.620831, 0.080211, -1.427350)  0.372
H (3.177892, -1.319486, -2.042219)  0.361
O (-1.958105, 5.835416, 3.139231)  -0.959
H (-2.870096, 5.836562, 3.436052)  0.482
H (-1.810982, 6.558912, 2.538703)  0.486
O (-0.805257, 3.256696, 3.594159)  -0.963
H (-1.207938, 4.128104, 3.727925)  0.490
H (0.116191, 3.306274, 3.860495)  0.464

Cartesian forces (eV/Å) of the 3 atoms listed first:
0.3435 0.0859 -0.0218
0.7066 1.5062 -0.3283
-0.7756 -1.7546 1.0385

For the maximum force, the calculation gives 2.18 eV/A. The value obtained for the energy above the lowest of the compared OMol25 structures with the same formula, charge and spin is 2.409 eV. As for the total charge: 0. As for the spin multiplicity: 1. The structure (SMILES) is C=C/C=C/N.O.O.

=====

(2)
Here is 3 unconnected molecules or ions with the total composition C4H11NO2 from OMol25. Energies are from the ωB97M-V functional and the def2-TZVPD basis.

Last column: natural (NBO) charge in e.
Geometry (Å):
C (0.057741, 1.836867, -0.246611)  -0.054
N (-0.284787, 1.639237, 0.969493)  -0.389
C (0.235790, 0.561898, 1.680606)  0.133
C (1.497263, 0.595565, 2.077231)  -0.444
C (-0.760568, -0.375527, 2.267734)  -0.655
H (-0.187028, 2.862954, -0.675698)  0.192
H (0.675358, 1.106268, -0.851636)  0.139
H (2.018729, 1.413950, 1.773931)  0.187
H (2.158559, -0.207770, 2.433876)  0.214
H (-1.809022, 0.110137, 2.587149)  0.231
H (-0.376102, -0.782491, 3.127850)  0.223
H (-0.966463, -1.342278, 1.781945)  0.225
O (-0.580254, -0.263850, -3.117084)  -0.951
H (-0.321496, -0.010526, -2.166019)  0.475
H (0.119413, 0.021678, -3.692397)  0.476
O (-0.025117, -2.919317, -2.066319)  -0.934
H (-0.645480, -2.414597, -1.474010)  0.464
H (-0.011352, -2.479468, -2.837974)  0.469

Cartesian forces (eV/Å) of the 3 atoms listed first:
-0.0157 0.8714 0.6295
0.2366 0.8454 -1.5467
-0.8709 -0.6586 0.7729

For the maximum force, the calculation gives 5.84 eV/A. The value obtained for the energy above the lowest of the compared OMol25 structures with the same formula, charge and spin is 3.427 eV. As for the total charge: 0. As for the spin multiplicity: 1. The structure (SMILES) is C=NC(=C)C.O.O.

=====

(3)
Here is 3 unconnected molecules or ions with the total composition C4H11NO2 from OMol25. Energies are from the ωB97M-V functional and the def2-TZVPD basis.

Last column: natural (NBO) charge in e.
(The calculated molecules stop here)
So we went back to basics. And I was asked to summarise the key points in a blog.
There are two main types of information required:
- To manage each referrer you need a profile of each organisation and all the individual contacts and an understanding of where the relationship started, how it has developed in the past and the hopes for the future relationship and
- To manage the co-ordination and measure the effectiveness of referrer relationships across the practice you need to know about the volume, type and value of referrals received from and sent to all referrers and intermediaries.
Information about referrers and intermediaries
We addressed the issue of analysing all of the referrers and intermediaries across the practice, offices and practice groups and developing a way in which to focus on the most important ones – there are other blogs on this subject. For example, some firms identify ten per team and others concentrate on a few which blend established and target relationships.
I usually suggest that internal information about referrers and intermediaries is organised into two parts – one refers to the past and the other to the future plans. These are best summarised – for briefing purposes – into a one page/screen summary.
Profile – Static organisational information
Much of the information about referrer and intermediaries is in the heads or personal systems of the individual lawyers, accountants and surveyors (I’ll use the term fee-earners from now on). So the first step is to document the relatively static information about the referring organisation from public sources so that the fee-earners can then add any information that they have to the draft – which saves them time.
The sort of information you might track in the profile about the referring organisation includes:
- Name of organisation
- Importance to the firm (many firms operate a grading system to show the strategic strength of the relationship)
- Size (fee income, profitability, number of people and growth)
- Reach (location and contact details for the head office, other offices in the domestic and international network)
- Scope of operations, range of services and key areas of expertise
- Internal structure – divisional, departmental and management
- Sector and market position (Is it a major player in its market or a niche player? What are the key trends and issues facing their sector?)
- Business objectives and mission
- Nature of clients (identifying where there are mutual clients)
- Other professional advisers used or associated with
- General comments – for example, recent major developments, whether it is acquisitive
- Web site and social media accounts
It sometimes becomes apparent that the fee-earners have a somewhat limited view of the referring organisation – having in-depth material about perhaps one part of it or one or two individuals. This hopefully will prompt them to taker a broader and more commercial look at the referrer organisation.
Profile – Dynamic relationship information
The other part of the profile is the more dynamic information relating to the relationship. This will include information such as:
- Source and history of the relationship
Between two parts of the piece: calculated molecules.
********
No. 1
********
The calculated molecules stop here.
- Main events in the past (for example, if there were joint events or other collaborative ventures)
- Recent major developments (this is where news monitoring systems becomes valuable)
- Key contacts (along with titles, seniority and function) at the referring organisation
- Key contacts at the firm (some firms may allocate one partner or two partners with overall responsibility for co-ordinating the relationship)
- Perception and level of satisfaction (you may wish to track the referring organisation’s attitudes towards the firm or critical incidents in the relationship)
- Summary of past work referred – perhaps an annual summary for the past three years showing number of referrals and their value
- Recent referrals – a more detailed list showing perhaps the last years’ referrals with more details about the clients, work and transactions referred
- Recent relationship activities (effectively a log of recent contact)
Sometimes people find it helpful to annotate an organisation chart or to create a separate relationship map showing – perhaps using a green, amber and red notation – the strength of relationships with different individuals across the referring organisation. Other firms adopt a table approach – showing the matrix of relationships between their own people and those of the referring organisation.
Plan – Future aspirations for the referrer relationship
Once the profile information has been collected, it is likely that some or all of those fee-earners with links with the referring organisation will get together to discuss and agree a future plan of action for the relationship. This is a similar process to that used in Key Account Management (KAM) programmes (there are other blogs on this topic) and the focus is on how to add value to the referrer organisation rather than just how to extract further referrals.
Plans should be simple – and the major value is going through the process. A simple structure might be:
- Where are we now?
- Summary from the profile information about what has happened in the past
- Summary of the strengths, weaknesses, opportunities and threats in the referrer relationship
- Where do we want to be?
- Short and long term goals for the referrer relationship
- How will we get there?
- The main strategies and activities planned (these were discussed at length during the training)
- The process through which implementation and progress will be monitored and measured
Summary briefing sheets
Whilst it is important to maintain detailed information on the profile to guide those who are co-ordinating and monitoring the relationship, it is often valuable to have a single page/screen summary of the most relevant information that others can read quickly before attending a meeting or event where individuals from the referring organisation are likely to attend.
Information about referrals
It may be that your accounts system can be used to produce reports showing all referrals received into the firm. The accuracy of the data will depend on both the codes used to record this when new clients or instructions are opened and also on the fee-earners interest in recording the information. However, many firms operate a separate system to do this – and obtaining the information, particularly where the culture is very individualistic, can be difficult.
Inbound referral overview
This is a list showing all of the referrals received into the firm – with information addressing:
- Date
- Individual and the organisation referring the work
- Individual to whom they referred the work
- Client referred
- Nature and value of the work referred
Outbound referral overview
This is similar information as the inbound referral in summary except that it records what clients and instructions have been referred out of the firm to referrer and intermediary organisations. Often, the people in the firm who refer work out are not the same as those who benefit when work is referred in. As some firms have a policy of offering clients a choice of two or three options, the system must accommodate this.
Related blogs on referrer and intermediary management:
Referrer and intermediary management training sessions for professional fee-earners:
Inserted here: calculated molecules:
- - -
(1)
Entry from the Open Molecules 2025 dataset: a structure of composition C4H14N2O2 in a non-equilibrium geometry (ωB97M-V with the def2-TZVPD basis set).

Last column: natural (NBO) charge in e.
Cartesian coordinates (Å):
1 C 2.261 -0.619 -0.351  0.774
2 N 2.292 0.185 -1.461  -0.847
3 N 3.187 -0.302 0.613  -0.850
4 O 1.479 -1.535 -0.220  -0.656
5 H -0.362 -0.188 0.292  0.191
6 H 1.029 2.082 0.873  0.001
7 H 2.714 1.096 -1.386  0.381
8 H 1.452 0.144 -2.019  0.416
9 H 3.990 0.253 0.369  0.383
10 H 3.321 -0.993 1.331  0.403
11 C -1.401 -0.146 -0.040  0.090
12 C -1.967 -1.563 -0.047  -0.630
13 C -2.201 0.770 0.886  -0.631
14 O -1.337 0.388 -1.352  -0.729
15 H -2.226 0.364 -1.725  0.458
16 H 1.273 2.807 1.037  -0.003
17 H -1.347 -2.198 -0.672  0.230
18 H -2.148 0.407 1.909  0.210
19 H -1.968 -1.967 0.960  0.211
20 H -2.987 -1.567 -0.429  0.189
21 H -1.802 1.782 0.851  0.213
22 H -3.248 0.800 0.581  0.194

E: -11450.445 eV
frontier orbital gap: 0.401 Eh
total charge: 0



(2)
Entry from the Open Molecules 2025 dataset: a cluster of 2 separate species, C4H14N2OS in total in a non-equilibrium geometry (ωB97M-V with the def2-TZVPD basis set).

Last column: natural (NBO) charge in e.
Cartesian coordinates (Å):
1 C 2.046 -0.380 0.075  -0.659
2 C 0.596 -0.818 0.359  -0.057
3 C -0.129 -1.485 -0.861  -0.518
4 S -0.060 -0.414 -2.322  -0.061
5 N 0.002 0.376 0.977  -0.641
6 C -1.275 0.199 1.770  -0.081
7 N -2.583 -0.026 1.208  -0.850
8 H 2.415 -1.341 -0.413  0.200
9 H 2.278 0.615 -0.384  0.256
10 H 2.637 -0.053 1.043  0.237
11 H 0.489 -1.638 1.168  0.198
12 H 0.562 -2.352 -1.114  0.214
13 H -1.105 -1.750 -0.753  0.213
14 H -1.180 -0.614 -2.840  0.105
15 H -0.245 1.043 0.240  0.361
16 H -1.230 -0.552 2.644  0.184
17 H -1.276 1.161 2.340  0.191
18 H -3.142 0.639 0.764  0.365
19 H -2.581 -0.814 0.728  0.338
20 H 0.627 3.085 -1.433  0.461
21 H 1.723 2.383 -2.026  0.468
22 O 1.432 2.737 -1.170  -0.924

structure (SMILES): C[C@H](CS)NCN.O
E: -20235.874 eV
frontier orbital gap: 0.337 Eh
total charge: 0



(3)
Entry from the Open Molecules 2025 dataset: a cluster of 2 separate species, C4H14N2OS in total in a non-equilibrium geometry (ωB97M-V with the def2-TZVPD basis set).

Last column: natural (NBO) charge in e.
Cartesian coordinates (Å):
1 C 1.713 0.382 -0.027  -0.228
2 N 0.771 1.026 0.886  -0.619
3 C -0.058 2.030 0.218  -0.233
4 C -1.542 1.859 0.501  -0.506
5 S -2.250 0.289 -0.165  -0.088
6 C 1.228 -0.837 -0.841  -0.246
7 N 2.321 -1.413 -1.589  -0.849
8 H 2.197 1.125 -0.669  0.182
9 H 2.597 0.009 0.503  0.174
10 H -2.823 0.715 -1.298  0.129
11 H 0.215 2.132 -0.836  0.187
12 H 0.150 3.019 0.643  0.187
13 H -1.663 1.692 1.571  0.219
14 H -2.148 2.681 0.126  0.233
15 H 0.386 -0.616 -1.494  0.202
16 H 0.859 -1.530 -0.074  0.188
17 H 2.420 -1.028 -2.515  0.361
18 H 0.135 0.289 1.178  0.342
19 H 3.214 -1.418 -1.120  0.355
20 H -0.452 -2.479 1.891  0.474
21 H 0.827 -3.115 1.205  0.475
22 O -0.129 -3.052 1.196  -0.940

structure (SMILES): NCCNCCS.O
E: -20237.127 eV
- - -
Here the entry continues:
Referrer and intermediary management training sessions for marketing and business development staff: